Material
~~~
Record 1
102
Properties=species:S:1:pos:R:3:forces:R:3 method="wB97M-V/def2-TZVPD" e_tot_ev=-125339.90064 e_lumo_ha="0.1609 / 0.1608" relative_energy_kj_mol=97.3 homo_energy_ev="0.428 / -2.006" total_charge=-2 multiplicity=3 homo_lumo_gap_ev="3.9506 / 6.3827"
Ti 0.3390 -0.0281 0.1248 0.3 1.0 -1.0
O 3.1043 -1.8943 1.2312 0.0 -0.2 0.1
C 3.1621 -1.7835 2.6387 -0.2 0.0 -0.2
C 2.8738 -0.3782 3.1463 -0.1 0.0 -0.2
N 1.5510 0.1232 2.8037 0.0 -0.1 0.2
C 0.5070 -0.6252 3.5005 0.1 0.1 -0.3
C -0.1683 -1.6864 2.6313 -0.1 0.1 -0.3
O -0.5172 -2.7463 3.1342 0.0 0.0 0.0
O -0.3797 -1.3196 1.4070 -0.3 -1.1 1.2
C 1.4297 1.5604 2.9993 0.0 -0.3 0.0
C 0.2622 2.1738 2.2280 -0.2 -0.1 -0.2
O -0.1585 3.2654 2.5916 -0.1 0.0 0.0
O -0.1853 1.4792 1.2411 -0.2 1.1 1.1
H 3.6262 -1.1798 0.8478 0.0 0.1 0.0
H 4.1530 -2.0732 3.0101 0.0 0.0 0.1
H 2.4290 -2.4955 3.0269 0.0 0.0 0.0
H 3.6121 0.2975 2.7105 0.1 0.0 0.0
H 3.0238 -0.3892 4.2401 0.1 0.1 0.1
H -0.2934 0.0558 3.8001 0.0 0.0 0.0
H 0.8887 -1.1105 4.4026 0.0 0.0 0.1
H 2.3336 2.0506 2.6308 0.0 0.0 0.0
H 1.2988 1.8328 4.0542 0.1 0.0 0.1
S -0.5744 1.2958 -1.9138 0.1 0.1 -0.1
C -2.2913 1.4178 -2.0048 0.0 0.2 0.1
N -3.0551 0.7386 -2.9909 -0.1 0.0 0.2
C -3.7513 1.6137 -3.9328 0.0 0.0 0.0
C -4.6318 2.5634 -3.1323 0.1 0.0 0.0
C -3.7565 3.3648 -2.1791 0.1 0.0 0.0
N -3.0045 2.4423 -1.3336 -0.2 -0.2 -0.1
H -2.4590 0.0692 -3.4558 0.1 0.0 0.0
H -4.3536 0.9962 -4.6045 0.0 0.0 0.0
H -3.0487 2.2073 -4.5439 0.0 0.0 0.0
H -5.3436 1.9690 -2.5501 0.0 0.0 0.0
H -5.1844 3.2363 -3.7939 0.0 0.0 0.0
H -4.3730 4.0020 -1.5400 0.0 0.0 0.0
H -3.0919 4.0168 -2.7754 0.0 0.0 0.0
H -2.3803 2.9141 -0.6976 0.1 0.0 0.0
C -4.6130 0.6735 0.7039 0.1 -0.1 0.0
P -2.9257 -0.1077 0.9515 -0.8 0.1 -0.1
C -2.9742 0.1025 2.7901 0.2 -0.1 0.0
C -2.7943 1.4391 3.1641 0.1 0.1 0.0
C -2.7286 1.8227 4.4951 0.0 0.0 -0.1
C -2.8391 0.8710 5.5004 0.0 0.0 0.0
C -3.0067 -0.4576 5.1498 0.0 -0.1 0.0
C -3.0698 -0.8391 3.8114 -0.1 0.0 0.1
C -3.4768 -1.8002 0.4558 0.1 -0.1 0.1
C -3.4380 -2.9884 1.1823 0.0 0.0 -0.1
C -3.8890 -4.1813 0.6227 0.0 0.0 0.0
C -4.3524 -4.2197 -0.6824 0.0 0.1 0.0
C -4.3254 -3.0555 -1.4422 0.0 0.0 0.0
C -3.8867 -1.8650 -0.8824 0.0 0.0 0.0
H -5.3607 0.1466 1.3028 0.0 0.0 0.0
H -4.8817 0.6314 -0.3513 0.1 0.0 0.0
H -4.5787 1.7211 1.0003 0.0 0.0 0.0
H -2.6507 2.1911 2.3943 0.0 0.0 0.0
H -2.5607 2.8644 4.7405 0.0 0.0 0.0
H -2.7734 1.1601 6.5422 0.0 0.0 0.0
H -3.0724 -1.2166 5.9219 0.0 0.0 0.0
H -3.1708 -1.8879 3.5921 0.0 0.0 0.0
H -2.9914 -3.0211 2.1627 0.0 0.0 0.0
H -3.8524 -5.0918 1.2107 0.0 0.0 0.0
H -4.6940 -5.1520 -1.1166 0.0 0.0 0.0
H -4.6283 -3.0764 -2.4836 0.0 0.0 0.0
H -3.8284 -0.9729 -1.5052 -0.1 -0.1 0.1
C 7.0127 0.3812 0.7722 0.0 0.0 0.0
C 6.3407 -0.3958 -0.1582 -0.1 0.0 -0.1
C 5.0313 -0.0830 -0.5217 0.1 0.0 -0.1
C 4.3435 1.0159 0.0128 0.0 -0.2 0.1
C 5.0551 1.7783 0.9499 0.1 0.1 0.0
C 6.3600 1.4743 1.3257 -0.1 0.1 0.0
Si 2.4921 1.4238 -0.4040 0.3 0.6 -0.5
C 2.6764 1.9310 -2.2570 0.1 0.0 -0.1
C 2.1888 3.1728 -2.6850 0.1 0.0 -0.1
C 2.2880 3.5865 -4.0081 0.0 0.0 0.1
C 2.8775 2.7607 -4.9591 0.0 0.0 0.1
C 3.3393 1.5111 -4.5713 0.0 0.0 0.1
C 3.2325 1.1093 -3.2417 0.0 0.1 0.0
H 8.0289 0.1399 1.0627 0.0 0.0 0.0
H 6.8343 -1.2537 -0.6027 0.0 0.0 0.0
H 4.5313 -0.7200 -1.2467 0.0 0.0 0.1
H 4.5677 2.6471 1.3857 0.0 0.0 0.0
H 6.8750 2.0971 2.0494 0.0 0.0 0.0
H 2.5208 2.8285 0.1587 -0.1 0.0 0.1
H 1.7090 3.8212 -1.9592 0.0 0.0 0.0
H 1.8968 4.5549 -4.3026 0.0 0.0 0.0
H 2.9663 3.0839 -5.9905 0.0 0.0 0.0
H 3.7772 0.8431 -5.3058 0.0 0.0 0.0
H 3.5850 0.1181 -2.9761 0.0 0.0 0.0
C 2.5492 -2.8041 -2.0295 0.1 0.0 0.1
C 1.0907 -2.4177 -1.8072 -0.4 0.3 0.1
O 0.9690 -1.2324 -1.1334 0.2 -1.9 -0.7
C 0.3949 -2.2612 -3.1913 0.2 0.1 0.1
F 0.3958 -3.4232 -3.8988 0.0 0.0 0.0
F -0.8763 -1.8642 -3.1077 0.1 -0.1 0.0
F 1.0605 -1.3665 -3.9372 -0.1 0.0 0.0
C 0.3956 -3.5783 -1.0270 0.1 0.1 0.0
F 0.9211 -3.7086 0.1915 0.0 0.0 -0.1
F -0.9207 -3.4057 -0.9018 0.1 0.0 0.0
F 0.5791 -4.7791 -1.6513 -0.1 0.1 0.1
H 3.0241 -2.0306 -2.6311 0.0 0.0 0.0
H 2.6303 -3.7658 -2.5349 0.1 0.0 0.0
~~~

Assignment
Repeat only the lines further above with the word "forces" in them.

Outcome
Properties=species:S:1:pos:R:3:forces:R:3 method="wB97M-V/def2-TZVPD" e_tot_ev=-125339.90064 e_lumo_ha="0.1609 / 0.1608" relative_energy_kj_mol=97.3 homo_energy_ev="0.428 / -2.006" total_charge=-2 multiplicity=3 homo_lumo_gap_ev="3.9506 / 6.3827"